Set down the whole of the listing further down exactly.

____________
Entry 1:
A relaxed structure of Na4Mg3SnP2S4O24, computed with PBE-GGA.

The structure in POSCAR format:
```
Na4Mg3SnP2S4O24
1.0
8.7884 0.0000 0.0000
4.3761 7.6394 0.0000
0.1664 0.1234 22.5153
Na Mg Sn P S O
12 9 3 6 12 72
Direct
0.0000 0.0000 0.0000 Na
0.0050 0.3776 0.2461 Na
0.0156 0.0044 0.5002 Na
0.0365 0.3212 0.9058 Na
0.2966 0.6811 0.9138 Na
0.3361 0.3437 0.8273 Na
0.3485 0.3367 0.3349 Na
0.3689 0.6476 0.2425 Na
0.6649 0.6910 0.1608 Na
0.6697 0.6730 0.6714 Na
0.7060 0.9888 0.5843 Na
0.9780 0.3396 0.5872 Na
0.0027 0.0138 0.3496 Mg
0.0090 0.0062 0.1421 Mg
0.0116 0.0133 0.6474 Mg
0.3371 0.3543 0.9825 Mg
0.3377 0.3498 0.4810 Mg
0.3483 0.3456 0.1749 Mg
0.6707 0.6884 0.3150 Mg
0.6870 0.6739 0.8082 Mg
0.9988 0.0129 0.8422 Mg
0.3317 0.3487 0.6809 Sn
0.6661 0.6806 0.5148 Sn
0.6721 0.6837 0.0152 Sn
0.0034 0.3079 0.7467 P
0.0478 0.6438 0.5771 P
0.3360 0.0556 0.5779 P
0.3376 0.6452 0.0796 P
0.6285 0.3454 0.5788 P
0.9645 0.6825 0.9128 P
0.0026 0.7231 0.2472 S
0.0452 0.3447 0.0808 S
0.2968 0.0152 0.2470 S
0.3007 0.7201 0.7477 S
0.3752 0.6802 0.4107 S
0.3797 0.9756 0.9119 S
0.6311 0.0564 0.0798 S
0.6714 0.3860 0.9127 S
0.6710 0.9771 0.4123 S
0.7099 0.0151 0.7457 S
0.7139 0.3029 0.2472 S
0.9682 0.3842 0.4114 S
0.0142 0.8288 0.5866 O
0.0200 0.1927 0.0871 O
0.0323 0.2009 0.8043 O
0.0343 0.8015 0.3000 O
0.1172 0.5239 0.6338 O
0.1242 0.3716 0.1349 O
0.1405 0.3716 0.4176 O
0.1477 0.3238 0.0266 O
0.1478 0.5138 0.9204 O
0.1557 0.5588 0.5226 O
0.1625 0.5419 0.2416 O
0.1758 0.0350 0.5867 O
0.1782 0.3241 0.7436 O
0.1778 0.8287 0.0851 O
0.1862 0.0455 0.3005 O
0.1971 0.7930 0.8028 O
0.2014 0.9943 0.9079 O
0.2016 0.8386 0.4062 O
0.2157 0.8228 0.6948 O
0.2167 0.9845 0.1946 O
0.3069 0.1696 0.5238 O
0.3140 0.1750 0.2398 O
0.3193 0.5384 0.7432 O
0.3207 0.5595 0.0233 O
0.3604 0.1501 0.9207 O
0.3629 0.5208 0.4180 O
0.3699 0.5372 0.1372 O
0.3857 0.1272 0.6340 O
0.4519 0.8621 0.9676 O
0.4554 0.7124 0.4654 O
0.4731 0.8548 0.2541 O
0.4765 0.7010 0.7536 O
0.4845 0.6570 0.3577 O
0.4900 0.8887 0.8607 O
0.5101 0.8713 0.5732 O
0.5125 0.1492 0.4186 O
0.5131 0.6601 0.0751 O
0.5138 0.3694 0.9214 O
0.5152 0.3839 0.6362 O
0.5242 0.1311 0.1336 O
0.5312 0.1809 0.7421 O
0.5330 0.3290 0.2419 O
0.5464 0.3161 0.5248 O
0.5486 0.1561 0.0260 O
0.6372 0.5041 0.8620 O
0.6475 0.8875 0.3619 O
0.6500 0.8740 0.0766 O
0.6555 0.5104 0.5741 O
0.6838 0.8627 0.7521 O
0.6938 0.4845 0.2529 O
0.7021 0.8690 0.4693 O
0.7091 0.4613 0.9680 O
0.7908 0.0404 0.7984 O
0.7949 0.1990 0.3010 O
0.8069 0.0365 0.0859 O
0.8104 0.9929 0.6907 O
0.8131 0.1860 0.5865 O
0.8242 0.2245 0.1945 O
0.8315 0.2137 0.9068 O
0.8307 0.9911 0.4070 O
0.8426 0.4918 0.7507 O
0.8481 0.6959 0.2542 O
0.8530 0.7159 0.9722 O
0.8579 0.4639 0.4673 O
0.8580 0.6580 0.5727 O
0.8662 0.5100 0.0766 O
0.8744 0.6474 0.8621 O
0.8809 0.4944 0.3589 O
0.9777 0.8281 0.1940 O
0.9824 0.2108 0.4071 O
0.9881 0.2224 0.6900 O
0.9915 0.8420 0.9075 O
```

## Properties
* total energy: -704.52 eV per cell
* symmetry: P1 (1)



Entry 2:
A relaxed structure of Na2MgSnP2SO12, computed with PBE-GGA.

The structure in POSCAR format:
```
Na2MgSnP2SO12
1.0
-4.0925 4.6955 -6.3272
-4.2666 -2.1153 7.4193
7.2925 19.0961 9.4547
Na Mg Sn P S O
12 6 6 12 6 72
Direct
0.9972 0.6321 0.2460 Na
0.6349 0.6321 0.7460 Na
0.6638 0.9655 0.5794 Na
0.3016 0.9655 0.0794 Na
0.3305 0.2988 0.9127 Na
0.9683 0.2988 0.4127 Na
0.9972 0.9808 0.4954 Na
0.9836 0.9808 0.9954 Na
0.6639 0.3141 0.8288 Na
0.6503 0.3141 0.3288 Na
0.3305 0.6474 0.1621 Na
0.3169 0.6474 0.6621 Na
0.0010 0.9970 0.3521 Mg
0.9959 0.9970 0.8521 Mg
0.6677 0.3303 0.6854 Mg
0.6626 0.3303 0.1854 Mg
0.3344 0.6636 0.0188 Mg
0.3293 0.6636 0.5188 Mg
0.9994 0.0070 0.6505 Sn
0.0077 0.0070 0.1505 Sn
0.6660 0.3404 0.9838 Sn
0.6743 0.3404 0.4838 Sn
0.3327 0.6737 0.3172 Sn
0.3410 0.6737 0.8172 Sn
0.2977 0.0053 0.2518 P
0.9986 0.2936 0.2538 P
0.2950 0.2936 0.7538 P
0.7076 0.0053 0.7518 P
0.9644 0.3386 0.5851 P
0.6652 0.6269 0.5872 P
0.9617 0.6269 0.0872 P
0.3742 0.3386 0.0851 P
0.6311 0.6720 0.9184 P
0.3319 0.9602 0.9205 P
____________

Entry 1:
A relaxed structure of Na4Mg3SnP2S4O24, computed with PBE-GGA.

The structure in POSCAR format:
```
Na4Mg3SnP2S4O24
1.0
8.7884 0.0000 0.0000
4.3761 7.6394 0.0000
0.1664 0.1234 22.5153
Na Mg Sn P S O
12 9 3 6 12 72
Direct
0.0000 0.0000 0.0000 Na
0.0050 0.3776 0.2461 Na
0.0156 0.0044 0.5002 Na
0.0365 0.3212 0.9058 Na
0.2966 0.6811 0.9138 Na
0.3361 0.3437 0.8273 Na
0.3485 0.3367 0.3349 Na
0.3689 0.6476 0.2425 Na
0.6649 0.6910 0.1608 Na
0.6697 0.6730 0.6714 Na
0.7060 0.9888 0.5843 Na
0.9780 0.3396 0.5872 Na
0.0027 0.0138 0.3496 Mg
0.0090 0.0062 0.1421 Mg
0.0116 0.0133 0.6474 Mg
0.3371 0.3543 0.9825 Mg
0.3377 0.3498 0.4810 Mg
0.3483 0.3456 0.1749 Mg
0.6707 0.6884 0.3150 Mg
0.6870 0.6739 0.8082 Mg
0.9988 0.0129 0.8422 Mg
0.3317 0.3487 0.6809 Sn
0.6661 0.6806 0.5148 Sn
0.6721 0.6837 0.0152 Sn
0.0034 0.3079 0.7467 P
0.0478 0.6438 0.5771 P
0.3360 0.0556 0.5779 P
0.3376 0.6452 0.0796 P
0.6285 0.3454 0.5788 P
0.9645 0.6825 0.9128 P
0.0026 0.7231 0.2472 S
0.0452 0.3447 0.0808 S
0.2968 0.0152 0.2470 S
0.3007 0.7201 0.7477 S
0.3752 0.6802 0.4107 S
0.3797 0.9756 0.9119 S
0.6311 0.0564 0.0798 S
0.6714 0.3860 0.9127 S
0.6710 0.9771 0.4123 S
0.7099 0.0151 0.7457 S
0.7139 0.3029 0.2472 S
0.9682 0.3842 0.4114 S
0.0142 0.8288 0.5866 O
0.0200 0.1927 0.0871 O
0.0323 0.2009 0.8043 O
0.0343 0.8015 0.3000 O
0.1172 0.5239 0.6338 O
0.1242 0.3716 0.1349 O
0.1405 0.3716 0.4176 O
0.1477 0.3238 0.0266 O
0.1478 0.5138 0.9204 O
0.1557 0.5588 0.5226 O
0.1625 0.5419 0.2416 O
0.1758 0.0350 0.5867 O
0.1782 0.3241 0.7436 O
0.1778 0.8287 0.0851 O
0.1862 0.0455 0.3005 O
0.1971 0.7930 0.8028 O
0.2014 0.9943 0.9079 O
0.2016 0.8386 0.4062 O
0.2157 0.8228 0.6948 O
0.2167 0.9845 0.1946 O
0.3069 0.1696 0.5238 O
0.3140 0.1750 0.2398 O
0.3193 0.5384 0.7432 O
0.3207 0.5595 0.0233 O
0.3604 0.1501 0.9207 O
0.3629 0.5208 0.4180 O
0.3699 0.5372 0.1372 O
0.3857 0.1272 0.6340 O
0.4519 0.8621 0.9676 O
0.4554 0.7124 0.4654 O
0.4731 0.8548 0.2541 O
0.4765 0.7010 0.7536 O
0.4845 0.6570 0.3577 O
0.4900 0.8887 0.8607 O
0.5101 0.8713 0.5732 O
0.5125 0.1492 0.4186 O
0.5131 0.6601 0.0751 O
0.5138 0.3694 0.9214 O
0.5152 0.3839 0.6362 O
0.5242 0.1311 0.1336 O
0.5312 0.1809 0.7421 O
0.5330 0.3290 0.2419 O
0.5464 0.3161 0.5248 O
0.5486 0.1561 0.0260 O
0.6372 0.5041 0.8620 O
0.6475 0.8875 0.3619 O
0.6500 0.8740 0.0766 O
0.6555 0.5104 0.5741 O
0.6838 0.8627 0.7521 O
0.6938 0.4845 0.2529 O
0.7021 0.8690 0.4693 O
0.7091 0.4613 0.9680 O
0.7908 0.0404 0.7984 O
0.7949 0.1990 0.3010 O
0.8069 0.0365 0.0859 O
0.8104 0.9929 0.6907 O
0.8131 0.1860 0.5865 O
0.8242 0.2245 0.1945 O
0.8315 0.2137 0.9068 O
0.8307 0.9911 0.4070 O
0.8426 0.4918 0.7507 O
0.8481 0.6959 0.2542 O
0.8530 0.7159 0.9722 O
0.8579 0.4639 0.4673 O
0.8580 0.6580 0.5727 O
0.8662 0.5100 0.0766 O
0.8744 0.6474 0.8621 O
0.8809 0.4944 0.3589 O
0.9777 0.8281 0.1940 O
0.9824 0.2108 0.4071 O
0.9881 0.2224 0.6900 O
0.9915 0.8420 0.9075 O
```

## Properties
* total energy: -704.52 eV per cell
* symmetry: P1 (1)



Entry 2:
A relaxed structure of Na2MgSnP2SO12, computed with PBE-GGA.

The structure in POSCAR format:
```
Na2MgSnP2SO12
1.0
-4.0925 4.6955 -6.3272
-4.2666 -2.1153 7.4193
7.2925 19.0961 9.4547
Na Mg Sn P S O
12 6 6 12 6 72
Direct
0.9972 0.6321 0.2460 Na
0.6349 0.6321 0.7460 Na
0.6638 0.9655 0.5794 Na
0.3016 0.9655 0.0794 Na
0.3305 0.2988 0.9127 Na
0.9683 0.2988 0.4127 Na
0.9972 0.9808 0.4954 Na
0.9836 0.9808 0.9954 Na
0.6639 0.3141 0.8288 Na
0.6503 0.3141 0.3288 Na
0.3305 0.6474 0.1621 Na
0.3169 0.6474 0.6621 Na
0.0010 0.9970 0.3521 Mg
0.9959 0.9970 0.8521 Mg
0.6677 0.3303 0.6854 Mg
0.6626 0.3303 0.1854 Mg
0.3344 0.6636 0.0188 Mg
0.3293 0.6636 0.5188 Mg
0.9994 0.0070 0.6505 Sn
0.0077 0.0070 0.1505 Sn
0.6660 0.3404 0.9838 Sn
0.6743 0.3404 0.4838 Sn
0.3327 0.6737 0.3172 Sn
0.3410 0.6737 0.8172 Sn
0.2977 0.0053 0.2518 P
0.9986 0.2936 0.2538 P
0.2950 0.2936 0.7538 P
0.7076 0.0053 0.7518 P
0.9644 0.3386 0.5851 P
0.6652 0.6269 0.5872 P
0.9617 0.6269 0.0872 P
0.3742 0.3386 0.0851 P
0.6311 0.6720 0.9184 P
0.3319 0.9602 0.9205 P